Local band Looking West jams forward

Looking West performs at Topa Topa Brewing Co. on 104 E Thompson Blvd. in Ventura on Sept. 10. Looking West band member and El Camino High School student Dylan Brehm ‘23 said, “Looking West is when we are our best selves. The music brought us together and the brotherhood keeps us together.” Photo by: Alejandro Hernandez

Alejandro Hernandez

Who are Looking West?

Looking West is a Ventura-based band founded in 2017. Looking West band members include El Camino High School students Dylan Brehm ’23 (lead vocals and guitar) and Owen Neth ’23 (bass guitar and backup vocals) and Ventura High School student Evan Brehm ’24 (drums). The band is independent as they are not under any record label.

According to Looking West’s website, “Looking West is a trio of young musicians born and raised in Ventura County, California. Their original music is a unique blend of rock styles and genres. When not playing a live gig or at the studio, you can find them all hanging out at the beach.”

The name “Looking West” was first introduced in 2019, with them having no name prior. Dylan Brehm said, “Looking West to my recollection came because my dad always talks about the direction of the front of [Evan Brehm and I’s] house [and] the way it faces. We’re so close to the beach and the beach is supposedly straight west and we face west. I believe that the name probably came from us talking about how our house is looking west. Then I remember after that I really liked the name but I got a lot of pushback from these two guys [Evan Brehm and Neth].” 

Evan Brehm said, “We all remember [the origins of Looking West], [around] preschool or pre-K. There was this place called First Five that [had] music in an open classroom, and we were all there together. It was technically a music class. We didn’t really play [instruments] but like we were all introduced to that early. All of our parents enjoyed the same music so we were very influenced by rock. That was our childhood. All that together started some influence [for Looking West]. The first person out of us who started legitimately playing an instrument was Dylan.”

Dylan Brehm said, “I was doing sports and kind of on that trajectory for a bit. When I realized I couldn’t catch a baseball, and that I was afraid of it, I decided that maybe I should do something that I’m actually good at, so I asked my dad for guitar lessons. 2013 or 2014 is when I started playing guitar. Since then, it’s just been a great journey for me to keep learning new things, always learning new things. That’s just so much fun. I still take [guitar] lessons and I still might do vocal work with a vocal instructor as well just to teach me proper technique.”

These calculated crystals were left in the page by mistake =
/*
Record 1
MgTe (GGA-PBE, relaxed); calculated density = 4.7 g/cm3; energy of formation = -2.08 eV/f.u.; energy = -12.80 eV for the cell shown
1.0
-3.660 -1.679 -1.342
3.614 -0.880 -2.044
0.990 -5.426 4.086
Te Mg
2 2
Direct
0.333 0.667 0.250
0.667 0.333 0.750
0.000 0.000 0.000
0.000 0.000 0.500

---

Record 2
KB5O8 (GGA-PBE, relaxed); calculated density = 1.8 g/cm3; energy of formation = -39.82 eV/f.u.; energy = -867.28 eV for the cell shown; polymorph energy (0 for the lowest one) = 0.0 meV/atom
1.0
8.605 0.000 0.000
0.000 8.639 0.000
0.000 0.000 21.721
O B K
64 40 8
Direct
0.370 0.175 0.534
0.560 0.156 0.215
0.162 0.336 0.104
0.970 0.904 0.254
0.405 0.236 0.426
0.383 0.761 0.502
0.130 0.825 0.034
0.509 0.190 0.324
0.991 0.810 0.824
0.530 0.096 0.754
0.991 0.690 0.324
0.940 0.656 0.215
0.491 0.810 0.676
0.595 0.736 0.074
0.095 0.764 0.926
0.405 0.264 0.926
0.440 0.656 0.285
0.970 0.596 0.754
0.117 0.239 0.002
0.072 0.551 0.855
0.883 0.739 0.498
0.491 0.690 0.176
0.870 0.325 0.466
0.662 0.164 0.896
0.470 0.904 0.246
0.009 0.310 0.676
0.940 0.844 0.715
0.338 0.836 0.104
0.383 0.739 0.002
0.009 0.190 0.176
0.662 0.336 0.396
0.630 0.825 0.466
0.338 0.664 0.604
0.630 0.675 0.966
0.072 0.949 0.355
0.905 0.236 0.074
0.470 0.596 0.746
0.838 0.836 0.396
0.595 0.764 0.574
0.370 0.325 0.034
0.130 0.675 0.534
0.030 0.404 0.246
0.095 0.736 0.426
0.905 0.264 0.574
0.883 0.761 0.998
0.509 0.310 0.824
0.617 0.261 0.998
0.060 0.156 0.285
0.428 0.051 0.855
0.117 0.261 0.502
0.870 0.175 0.966
0.838 0.664 0.896
0.530 0.404 0.254
0.060 0.344 0.785
0.928 0.449 0.145
0.030 0.096 0.746
0.428 0.449 0.355
0.572 0.949 0.145
0.572 0.551 0.645
0.440 0.844 0.785
0.617 0.239 0.498
0.162 0.164 0.604
0.560 0.344 0.715
0.928 0.051 0.645
0.540 0.781 0.516
0.214 0.301 0.047
0.960 0.219 0.016
0.286 0.801 0.047
0.040 0.781 0.984
0.714 0.199 0.953
0.967 0.745 0.267
0.533 0.255 0.767
0.533 0.245 0.267
0.460 0.281 0.984
0.002 0.303 0.124
0.540 0.719 0.016
0.502 0.197 0.876
0.998 0.697 0.876
0.786 0.801 0.453
0.033 0.003 0.298
0.714 0.301 0.453
0.467 0.503 0.298
0.460 0.219 0.484
0.033 0.497 0.798
0.502 0.303 0.376
0.498 0.697 0.624
0.533 0.497 0.702
0.467 0.745 0.233
0.786 0.699 0.953
0.533 0.003 0.202
0.467 0.755 0.733
0.286 0.699 0.547
0.967 0.755 0.767
0.040 0.719 0.484
0.033 0.255 0.733
0.467 0.997 0.798
0.498 0.803 0.124
0.960 0.281 0.516
0.214 0.199 0.547
0.967 0.503 0.202
0.002 0.197 0.624
0.033 0.245 0.233
0.998 0.803 0.376
0.967 0.997 0.702
0.604 0.101 0.624
0.396 0.899 0.376
0.104 0.101 0.876
0.896 0.899 0.124
0.604 0.399 0.124
0.104 0.399 0.376
0.396 0.601 0.876
0.896 0.601 0.624

* * * * *

[1]
Entry from the Materials Project: a relaxed structure of LiMoP2O7 (PBE with a Hubbard U).

Properties
V, Å³/f.u.: 137.1
Polymorph energy (0 for the lowest one), kJ/mol of formula units: 23
SG: P-1
Formation energy from the elements, eV per atom: -2.562
VASP energy, eV/atom: -7.126

```
22
*/
Back to the page =

Evan Brehm said, “I got my first drums in 2017, just a few months before the band started. So I didn’t have a lot of motivation at the beginning of the band until we started playing as a band.”

Neth said, “I started playing bass five years ago in seventh grade. From then on, that’s when I joined the band. Before that, I didn’t play an instrument but I was listening to a lot of music from my parents. So I was pretty much just born into a musical family.”

Dylan and Evan Brehm are brothers, while Neth has no biological relation to the other members. Evan Brehm said, “Owen is my second brother, now and forever.” Neth said, “We met each other at a young age and from then we’ve just grown as friends and brothers. I enjoy being in a band with them.”

Looking West considers themselves to be a new-age rock band. Dylan Brehm said, “We’re a new-age rock band [and] our sound is comprised of our influences. That’s all we can say unless you listen to our songs. You can be the judge of what genre of music we are.”

Neth said, “We have our own sound obviously, we’re not trying to sound like anyone else. We just were influenced by our influences and we take that and create our sound off of it.”

Dylan Brehm said, “I feel like what’s unique about us is that none of us are the ideal popular kid. We don’t really fit into any group per se. I feel like our music would be different if we were in those social circumstances. We definitely fit in some groups, but we’re kind of in our own group. I feel like that gives us an edge that makes us special.”

Pablo Torres ‘24 said, “I saw [Looking West] perform at [the] Surf Rodeo and they absolutely killed it. I think the band is a great band with amazing originals and great covers. My favorite song from Looking West is ‘Your Mind.’ I have met all the members and they are absolutely amazing people.” Graphic by: Alejandro Hernandez

Evan Brehm, the only VHS student in the band, said, “I don’t know if there’s a lot of musicians around [VHS]. I’ve been recognized by some people, but it’s never anything crazy. I mean, I’m just a regular kid. It’s not like anything has really changed. I don’t think the school has been touched yet [by] Looking West. I don’t think it’s gotten there yet. I’m hoping it will. I have seen a couple of Looking West stickers around [VHS], which is pretty cool. If not, I’m just happy to play music, but hopefully, it reaches some kids.”

As of Sept. 29, Looking West has eight songs officially included in their live performance setlist, meaning their live performances contain those songs. These songs are “Acting Sideways,” “Your Mind,” “I See a Man,” “Losing You,” “Organized Chaos,” “My Disease,” “This Window I’m Looking Through,” and “Throw Away The Nerves.”

## Misplaced data records
-- begin --
! Eu5Zr3S12 (GGA-PBE, optimized geometry); values from VASP
! Space-group type = P-62m (189)
! E (MP2020) = -8.4370 eV/atom
! Crystal system = hexagonal
&SYSTEM
  ibrav = 0, nat = 20, ntyp = 3
/
ATOMIC_SPECIES
Eu 151.96 Eu.upf
Zr 91.22 Zr.upf
S 32.06 S.upf
CELL_PARAMETERS angstrom
11.7281 0.0000 0.0000
-5.8641 10.1568 0.0000
0.0000 0.0000 3.9132
ATOMIC_POSITIONS angstrom
Eu -4.2010 7.2764 0.0000
Eu 1.6630 2.8805 0.0000
Eu 0.0000 6.7712 0.0000
Eu 5.8641 3.3856 0.0000
Eu 8.4020 0.0000 0.0000
Zr -1.9145 3.3159 1.9566
Zr 3.8289 0.0000 1.9566
Zr 3.9496 6.8409 1.9566
S -1.0424 1.8055 0.0000
S -2.7489 4.7612 0.0000
S 2.0848 0.0000 0.0000
S -2.1003 7.5963 1.9566
S 0.3356 4.5398 1.9566
S 3.7637 2.5605 1.9566
S 5.4978 0.0000 0.0000
S 3.1152 5.3956 0.0000
S 1.7647 8.1776 1.9566
S 7.6287 1.9792 1.9566
S 6.1997 5.6171 1.9566
S 4.8216 8.3513 0.0000


! Eu16Sb11 (GGA-PBE, optimized geometry); values from VASP
! Space-group type = P2_12_12 (18)
! E (MP2020) = -8.8704 eV/atom
! Crystal system = orthorhombic
&SYSTEM
  ibrav = 0, nat = 54, ntyp = 2
/
ATOMIC_SPECIES
Eu 151.96 Eu.upf
Sb 121.76 Sb.upf
CELL_PARAMETERS angstrom
12.7196 0.0000 0.0000
0.0000 12.7412 0.0000
0.0000 0.0000 11.7606
ATOMIC_POSITIONS angstrom
Eu 0.0000 0.0000 1.7347
Eu 0.0000 0.0000 9.3007
Eu 0.8791 3.7629 3.6640
Eu 0.9389 3.7112 8.3116
Eu 1.1286 9.0081 11.7411
Eu 1.7049 11.0363 5.8723
Eu 2.5405 7.2354 8.0246
Eu 2.6359 5.2438 0.0126
Eu 2.6430 7.3073 3.4444
Eu 3.7168 0.9367 8.3162
Eu 3.7239 11.6143 11.7481
Eu 3.8193 0.8648 3.7361
Eu 4.6550 4.6658 5.8884
Eu 5.2313 2.6376 0.0195
Eu 5.4209 10.0818 3.4491
Eu 5.4807 10.1335 8.0966
Eu 6.3598 6.3706 2.4599
Eu 6.3598 6.3706 10.0260
Eu 7.2389 2.6077 8.0966
Eu 7.2987 2.6594 3.4491
Eu 7.4884 10.1036 0.0195
Eu 8.0647 8.0754 5.8884
Eu 8.9003 11.8764 3.7361
Eu 8.9957 1.1268 11.7481
Eu 9.0028 11.8044 8.3162
Eu 10.0767 5.4339 3.4444
Eu 10.0837 7.4974 0.0126
Eu 10.1791 5.5058 8.0246
Eu 11.0148 1.7048 5.8723
Eu 11.5911 3.7330 11.7411
Eu 11.7807 9.0300 8.3116
Eu 11.8405 8.9783 3.6640
Sb 0.0000 6.3706 1.7443
Sb 0.0000 6.3706 5.8422
Sb 0.0000 6.3706 9.9665
Sb 1.5808 1.5811 6.0083
Sb 1.8258 1.8330 11.3999
Sb 2.1382 10.6173 2.7484
Sb 2.2788 10.4363 8.9783
Sb 4.0810 4.0657 2.7823
Sb 4.2217 4.2468 9.0123
Sb 4.5340 8.2036 0.3608
Sb 4.7790 7.9517 5.7524
Sb 6.3598 0.0000 1.7941
Sb 6.3598 0.0000 5.9184
Sb 6.3598 0.0000 10.0164
Sb 7.9406 4.7895 5.7524
Sb 8.1856 4.5375 0.3608
Sb 8.4980 8.4944 9.0123
Sb 8.6387 8.6754 2.7823
Sb 10.4408 2.3048 8.9783
Sb 10.5815 2.1238 2.7484
Sb 10.8938 10.9081 11.3999
Sb 11.1388 11.1601 6.0083


! Eu3Sb (GGA-PBE, optimized geometry); values from VASP
! Space-group type = P6_3/mmc (194)
! E (MP2020) = -9.3560 eV/atom
! Crystal system = hexagonal
&SYSTEM
  ibrav = 0, nat = 8, ntyp = 2
/
ATOMIC_SPECIES
Eu 151.96 Eu.upf
Sb 121.76 Sb.upf
CELL_PARAMETERS angstrom
7.2349 0.0000 0.0000
-3.6175 6.2656 0.0000
0.0000 0.0000 5.7765
ATOMIC_POSITIONS angstrom
Eu 0.0000 2.1936 1.4441
Eu -1.7177 5.1688 1.4441
Eu 1.8997 1.0968 4.3324
Eu 1.7177 5.1688 1.4441
-- stop --

Looking West’s first performance was Oct. 31, 2018, for a neighborhood event organized by one of Dylan and Evan Brehm’s family friends. According to Dylan Brehm, Looking West’s notable performances include the Food For Ukraine Cornhole Tournament at the Ojai Valley Moose Lodge on May 28 and the Surf Rodeo festival on July 16.

Dylan Brehm said, “I think the world’s gotten around that we’re an entity and that it’s worth it for people to come to see us play. That’s how we made connections for the Surf Rodeo, our first festival performance. They were giving us some first chances and they took some big risks by having us play main stage at the festival. That was a bit risky on their part. But I think it worked out for all of us.”

Daniel Rundle ’25 said, “I like Looking West’s music a lot and think that all of their band members are amazing musicians. I saw them perform at [the] Surf Rodeo and I thought they did phenomenally.”

Looking West hasn’t officially released any music, though people can view their live performances online. Dylan Brehm said, “Right now, the easiest way for you to hear us is through a couple of avenues. I think YouTube’s a great way because we upload live videos from our recent shows. For instance, we have our whole Surf Rodeo set on YouTube, so you can watch it and if you go to the description, it will tell you the order of the songs. If you’re interested, you can try to see what that concert was like and see what the experience was like and we want to share that. It’s Looking West on YouTube. You can find us in all our live clips on @lookingwest.band on Instagram. It would be @LookingWestBand on Facebook. Also videos and photos there. Our website, which is also lookingwest.band, has a video section where you can hear what we sound like and see if you want to come to see us play.”

Jeremy Longmore ’24, who viewed Looking West’s Sept. 10 performance at Topa Topa Brewing Co. on 104 E Thompson Blvd. in Ventura, said, “[Looking West is] a pretty good band. I don’t know them but they seem nice and chill.”

**Data records, kept here for reference**
'''
(1)
! BaB4Pt6, optimized geometry, DFT PBE; values from VASP
&SYSTEM
  ibrav = 0, nat = 11, ntyp = 3
/
ATOMIC_SPECIES
B 10.81 B.upf
Pt 195.08 Pt.upf
Ba 137.33 Ba.upf
CELL_PARAMETERS angstrom
3.1277 -5.4173 0.0000
3.1277 5.4173 0.0000
0.0000 0.0000 5.3028
ATOMIC_POSITIONS crystal
B 0.6667 0.3333 0.4258
B 0.3333 0.6667 0.9275
B 0.6667 0.3333 0.0725
Pt 0.4825 0.5175 0.2485
B 0.3333 0.6667 0.5742
Ba 0.0000 0.0000 0.5000
Pt 0.5175 0.4825 0.7515
Pt 0.5175 0.0350 0.7515
Pt 0.0350 0.5175 0.2485
Pt 0.4825 0.9650 0.2485
Pt 0.9650 0.4825 0.7515
! ΔE_f   -0.425 eV/atom
! Space group   P-3m1 (164)


(2)
! BaB2Rh2, optimized geometry, DFT PBE; values from VASP
&SYSTEM
  ibrav = 0, nat = 5, ntyp = 3
/
ATOMIC_SPECIES
Ba 137.33 Ba.upf
Rh 102.91 Rh.upf
B 10.81 B.upf
CELL_PARAMETERS angstrom
-2.7380 5.0605 2.7910
-6.0257 0.6142 2.0514
5.1349 -3.8106 0.0822
ATOMIC_POSITIONS crystal
Ba 0.0000 0.0000 0.0000
Rh 0.7500 0.2500 0.5000
Rh 0.2500 0.7500 0.5000
B 0.6833 0.6833 0.0000
B 0.3167 0.3167 0.0000
! ΔE_f   -0.467 eV/atom
! Space group   I4/mmm (139)


(3)
! BaBSbS4, optimized geometry, DFT PBE; values from VASP
&SYSTEM
  ibrav = 0, nat = 28, ntyp = 4
/
ATOMIC_SPECIES
S 32.06 S.upf
B 10.81 B.upf
Sb 121.76 Sb.upf
Ba 137.33 Ba.upf
CELL_PARAMETERS angstrom
6.2639 0.0000 0.0000
0.0000 9.9533 0.0000
0.0000 0.0000 11.8980
ATOMIC_POSITIONS crystal
S 0.7500 0.3301 0.1001
S 0.7500 0.4247 0.5914
B 0.7500 0.8078 0.5495
B 0.2500 0.1922 0.4505
S 0.9976 0.2922 0.8716
S 0.0024 0.7078 0.1284
Sb 0.7500 0.6899 0.9597
Ba 0.2500 0.4840 0.6670
S 0.4976 0.7078 0.1284
S 0.2500 0.5753 0.4086
S 0.5024 0.7922 0.6284
S 0.2500 0.0753 0.0914
Ba 0.2500 0.9840 0.8330
Sb 0.2500 0.3101 0.0403
B 0.2500 0.6922 0.0495
Sb 0.7500 0.1899 0.5403
S 0.5024 0.2922 0.8716
Ba 0.7500 0.5160 0.3330
Sb 0.2500 0.8101 0.4597
S 0.0024 0.2078 0.3716
S 0.2500 0.1699 0.6001
S 0.2500 0.6699 0.8999
S 0.4976 0.2078 0.3716
S 0.7500 0.8301 0.3999
Ba 0.7500 0.0160 0.1670
S 0.9976 0.7922 0.6284
B 0.7500 0.3078 0.9505
S 0.7500 0.9247 0.9086
! ΔE_f   -1.211 eV/atom
! Space group   Pnma (62)


(4)
! Ba7B4Se13, optimized geometry, DFT PBE; values from VASP
&SYSTEM
  ibrav = 0, nat = 48, ntyp = 3
/
ATOMIC_SPECIES
Se 78.96 Se.upf
Ba 137.33 Ba.upf
B 10.81 B.upf
CELL_PARAMETERS angstrom
12.7734 5.3352 0.0000
-12.7734 5.3352 0.0000
0.0000 0.0040 10.6630
ATOMIC_POSITIONS crystal
Se 0.9789 0.8281 0.9895
Se 0.3215 0.1685 0.7981
Ba 0.4961 0.5039 0.7500
Se 0.9954 0.3765 0.1529
Ba 0.5039 0.4961 0.2500
Ba 0.2779 0.9357 0.9722
Se 0.8281 0.9789 0.4895
Se 0.2058 0.7942 0.2500
Se 0.8315 0.6785 0.7019
Se 0.6785 0.8315 0.2019
Ba 0.1046 0.4512 0.8566
B 0.4830 0.7162 0.9317
Se 0.6295 0.4668 0.9993
Se 0.0211 0.1719 0.0105
Se 0.1825 0.3411 0.6508
Se 0.8175 0.6589 0.3492
Se 0.5970 0.2077 0.0627
Se 0.0046 0.6235 0.8471
B 0.9328 0.7080 0.8505
Se 0.2077 0.5970 0.5627
Se 0.7923 0.4030 0.4373
Ba 0.4512 0.1046 0.3566
Ba 0.9357 0.2779 0.4722
B 0.2838 0.5170 0.5683
Se 0.4668 0.6295 0.4993
Se 0.4030 0.7923 0.9373
Se 0.1685 0.3215 0.2981
B 0.2920 0.0672 0.6495
'''
**The article goes on**

According to Dylan Brehm, the process of completing a song from conception to final recording varies dramatically in length by song. He said, “[Writing and recording music is a] process that is mysterious even to me. The writing process just happens spontaneously, it’s all spontaneous. You have to keep your ears and mind open, and then things just tend to happen. When they don’t happen, you know it’s because you haven’t been open enough. I would write a song and bring it to the guys but once it gets to that point, it changes, like a butterfly. It’s just really different. It’s a different species of animal.”

Looking West practices music during “jams” at Table 17 Studios, a private recording studio owned by Neth’s father. Dylan Brehm said, “[A jam is] just some friends playing together and the special feeling that comes with it.” Looking West’s first jam took place Dec. 16, 2017.

Dylan Brehm said, “It’s a different song live than it is in the studio, the way you play is different. When you’re playing live, you’re not conscious of what you’re doing because there’s so much energy. In the studio, you’re very conscious in a good way. I would say sometimes when you’re that conscious, it’s like hypersensitivity.”

Evan Brehm said, “You think you sound good and then you start recording. It brings everything you play under a microscope, you hear every little thing you do wrong.”

Dylan Brehm said, “We test our songs by playing them live. There was a show where we played one of our newest songs, called ‘Throw Away The Nerves,’ and we played it just once. But from [practicing in the studio], we didn’t really get to see if it’s ready for recording. If it’s doing well live, and it’s getting good reception, and if we enjoy playing it, it’s time to get in the studio and get our party on.”

Neth said, “[During the process of recording], we rehearse the song a lot. Our first step usually is to get a solid drum track. We can build up from there. If we got a drum track that stays on tempo, then we can just build from that and add bass and guitar.”

Looking West band members Dylan Brehm (left), Evan Brehm (center) and Owen Neth (right) sit during an interview with Ventura Rocks. Emma McKenzie ‘24 said, “I like [Looking West] a lot. Their music and vibe rock. My favorite song of theirs is probably ‘Acting Sideways,’ but I’m stoked to see what they come up with. I only know Evan personally, but they’re great [and] seem like a lot of fun.” Photo by: Mary Brehm

Dylan Brehm said, “I would say I am probably the de facto leader. Part of that is to do with the fact that I do most of the core songwriting for the group currently. For the most part, I write the skeleton of the song and then take it to [Evan Brehm and Neth] to flush it out. In that aspect, it sort of innately makes me a bit more of a presence.”

Evan Brehm said, “In a general way, Dylan would be the frontman. I think it comes with the whole guitarist and lead singer nature. Honestly, I like it that way. You can say that ‘yeah he’s the leader,’ but he is because of the role he plays [as lead guitarist and vocals]. We all bring our own part to the band. He’s playing his equal part as a leader.”

Looking West has one scheduled performance as of Oct. 1. They are expected to perform from 5 to 8 p.m. Oct. 8 at the Main Street Stage in downtown Ventura. Looking West’s upcoming performances list is updated regularly at lookingwest.band

Dylan Brehm said, “In the near future, probably in the next couple of weeks, likely before Halloween, we will have our first single out. We’ll make an official announcement on our social media and website when we have everything set in stone. We’re in the final stages of getting it ready [and] distributed. It will be on all streaming [platforms] and anywhere you listen to music.”

Evan Brehm said, “We’re so stoked just to be where we are right now. We’re very grateful to be in the position we are now. We’re playing our live shows and taking it with a grain of salt to enjoy the experience. I think that’s honestly our future goal.”

Updated Oct. 1 to reflect Looking West’s Underwood Family Farms Harvest Festival performance cancellation according to @lookingwest.band on Instagram.